_File_
The following is a computed powder X-ray diffraction pattern of Li4Ni2P4H3O16. It was derived from a crystal structure in Alexandria, relaxed with PBE+U, using Cu Kα, 1.54184 Å.
Neutral-atom scattering factors, no anomalous dispersion.

Structure:
Unit cell a=4.9197 b=7.6091 c=8.2476 alpha=91.16 beta=91.07 gamma=102.92
Atoms (fractional coordinates):
Li  0.0000  0.0000  0.0000
Li  0.2172  0.3139  0.7416
Li  0.4928  0.4715  0.2259
Li  0.7391  0.8333  0.5258
Ni  0.1066  0.1510  0.3737
Ni  0.6176  0.6549  0.8739
P  0.2429  0.9121  0.7190
P  0.4890  0.9024  0.2068
P  0.7244  0.4063  0.5366
P  0.9821  0.3886  0.0250
H  0.0546  0.6321  0.4454
H  0.1519  0.6623  0.2159
H  0.5680  0.1375  0.8592
O  0.0067  0.8147  0.8257
O  0.0903  0.3434  0.1934
O  0.1303  0.9609  0.5548
O  0.2295  0.4918  0.9260
O  0.2612  0.0094  0.1885
O  0.3312  0.7037  0.2756
O  0.3648  0.0998  0.8134
O  0.4688  0.8038  0.6959
O  0.4960  0.3174  0.4141
O  0.6073  0.4516  0.6985
O  0.6132  0.8611  0.0455
O  0.7111  0.9766  0.3369
O  0.7743  0.5123  0.0554
O  0.8507  0.6017  0.4555
O  0.8559  0.2123  0.9285
O  0.9616  0.3066  0.5528

Top 10 peaks for 2θ = 10–90°, by angle:
h k l  2θ/deg  I_rel
0 1 -1  15.87  55.8
0 1 1  16.28  49.2
-1 1 1  22.39  28.1
1 1 0  24.26  100.0
0 1 -2  24.44  30.6
1 0 -2  28.21  25.8
1 -2 1  28.95  74.9
-1 2 1  29.10  48.3
0 2 -2  32.07  34.9
0 2 2  32.90  36.5

* * * * *

Record 1
Starting from a cell relaxed with GGA-PBE, the powder diffraction line list of MnCdTe was calculated for Cu Kα, 1.54184 Å.

Principal peaks in the range 2θ = 10–80°, in order of rising 2θ:
| 2θ (°) | Rel. int. |
| --- | --- |
| 33.2 | 55.0 |
| 34.5 | 100.0 |
| 34.9 | 99.8 |
| 35.2 | 87.8 |
| 35.4 | 81.9 |
| 43.4 | 46.6 |

Cell lengths 8.480, 6.398, 5.406 Å; angles 90.00, 128.65, 90.00 degrees
Fractional positions:
Mn: 0.000 0.002 0.000
Mn: 0.000 0.998 0.500
Mn: 0.500 0.498 0.500
Mn: 0.500 0.502 0.000
Cd: 0.349 0.157 0.095
Cd: 0.349 0.843 0.595
Cd: 0.849 0.343 0.595
Cd: 0.849 0.657 0.095
Te: 0.173 0.324 0.422
Te: 0.173 0.676 0.922
Te: 0.673 0.176 0.922
Te: 0.673 0.824 0.422

Record 2
Starting from a cell relaxed with GGA-PBE, the powder diffraction line list of GaHO2 was calculated for Cu Kα, 1.54184 Å.

Principal peaks in the range 2θ = 10–80°, in order of rising 2θ:
| 2θ (°) | Rel. int. |
| --- | --- |
| 19.3 | 29.5 |
| 29.6 | 78.6 |
| 31.2 | 100.0 |
| 46.9 | 44.9 |
| 51.4 | 61.9 |
| 62.2 | 29.1 |

Cell lengths 6.201, 5.248, 6.010 Å; angles 66.45, 50.88, 62.67 degrees
Fractional positions:
Ga: 0.000 0.000 0.000
Ga: 0.250 0.250 0.250
Ga: 0.396 0.396 0.604
Ga: 0.646 0.646 0.854
H: 0.010 0.836 0.409
H: 0.506 0.841 0.414
H: 0.836 0.010 0.744
H: 0.841 0.506 0.240
O: 0.061 0.335 0.670
O: 0.316 0.580 0.915
O: 0.335 0.061 0.934
O: 0.347 0.829 0.425
O: 0.580 0.316 0.189
O: 0.825 0.850 0.903
O: 0.829 0.347 0.400
O: 0.850 0.825 0.421

Record 3
Starting from a cell relaxed with GGA-PBE, the powder diffraction line list of Ca4PbN4 was calculated for Cu Kα, 1.54184 Å.

Principal peaks in the range 2θ = 10–80°, in order of rising 2θ:
| 2θ (°) | Rel. int. |
| --- | --- |
| 16.1 | 72.7 |
| 18.1 | 100.0 |
| 30.8 | 63.7 |
| 31.0 | 72.8 |
| 31.2 | 63.7 |
| 35.0 | 57.8 |

Cell lengths 6.196, 6.222, 9.337 Å; angles 71.66, 85.00, 68.73 degrees
Fractional positions:
Ca: 0.229 0.325 0.297
Ca: 0.239 0.556 0.923
Ca: 0.246 0.971 0.089
Ca: 0.249 0.747 0.503
Ca: 0.751 0.253 0.497
Ca: 0.754 0.029 0.911
Ca: 0.761 0.444 0.077
Ca: 0.771 0.675 0.703
Pb: 0.223 0.109 0.731
Pb: 0.777 0.891 0.269
N: 0.001 0.904 0.698
N: 0.004 0.697 0.112
N: 0.350 0.326 0.536
N: 0.499 0.797 0.894
N: 0.501 0.203 0.106
N: 0.650 0.674 0.464
N: 0.996 0.303 0.888
N: 0.999 0.096 0.302

Record 4
Starting from a cell relaxed with GGA-PBE, the powder diffraction line list of La2Te3 was calculated for Cu Kα, 1.54184 Å.

Principal peaks in the range 2θ = 10–80°, in order of rising 2θ:
| 2θ (°) | Rel. int. |
| --- | --- |
| 29.2 | 100.0 |
| 34.7 | 73.7 |
| 41.7 | 13.5 |
| 45.9 | 17.4 |
| 58.8 | 18.6 |
| 62.1 | 15.2 |
_Work order_
Your job: search the calculation results above for the word "factors" and repeat each line that has it.
_Reply_
Neutral-atom scattering factors, no anomalous dispersion.